(Work order)
Could you print everything underneath with every line break kept?

(Listing)
-- begin --
Structure and calculated powder diffractogram of RbYTl2F6 (a DFT-relaxed cell (PBE, Alexandria); a wavelength of 1.5418 Å).
No peak broadening, texture or thermal motion is included.

Principal peaks in the range 10° ≤ 2θ ≤ 90°, in order of rising 2θ:
2theta  I_rel
18.63  41
25.56  48
26.30  100
26.67  97
27.27  53
37.72  43
37.89  25
46.27  23
47.39  28
48.05  25

Cell and atoms:
```
data_RbYTl2F6
_cell_length_a 6.5421
_cell_length_b 6.9696
_cell_length_c 11.4343
_cell_angle_alpha 90.00
_cell_angle_beta 123.83
_cell_angle_gamma 90.00
_symmetry_space_group_name_H-M 'P 1'
_symmetry_Int_Tables_number 1
_symmetry_space_group_name_Hall 'P 1'
loop_
_atom_site_label
_atom_site_fract_x
_atom_site_fract_y
_atom_site_fract_z
_atom_site_occupancy
Rb1 0.0000 0.0000 0.0000 1
Rb2 0.0000 0.5000 0.5000 1
Y1 0.5000 0.0000 0.5000 1
Y2 0.5000 0.5000 0.0000 1
Tl1 0.2304 0.0395 0.7404 1
Tl2 0.2304 0.4605 0.2404 1
Tl3 0.7696 0.5395 0.7596 1
Tl4 0.7696 0.9605 0.2596 1
F1 0.1747 0.1562 0.4615 1
F2 0.1747 0.3438 0.9615 1
F3 0.2731 0.7374 0.4250 1
F4 0.2731 0.7626 0.9250 1
F5 0.3978 0.0641 0.2843 1
F6 0.3978 0.4359 0.7843 1
F7 0.6022 0.5641 0.2157 1
F8 0.6022 0.9359 0.7157 1
F9 0.7269 0.2374 0.0750 1
F10 0.7269 0.2626 0.5750 1
F11 0.8253 0.6562 0.0385 1
F12 0.8253 0.8438 0.5385 1
```

Structure and calculated powder diffractogram of Rb5U2F12 (a DFT-relaxed cell (PBE, Alexandria); a wavelength of 1.5418 Å).
No peak broadening, texture or thermal motion is included.

Principal peaks in the range 10° ≤ 2θ ≤ 90°, in order of rising 2θ:
2theta  I_rel
12.73  79
12.97  90
24.82  53
24.95  56
26.11  45
26.84  32
27.12  100
29.06  57
30.67  33
45.39  39

Cell and atoms:
```
data_Rb5U2F12
_cell_length_a 8.1966
_cell_length_b 8.1966
_cell_length_c 6.9160
_cell_angle_alpha 97.92
_cell_angle_beta 97.92
_cell_angle_gamma 61.44
_symmetry_space_group_name_H-M 'P 1'
_symmetry_Int_Tables_number 1
_symmetry_space_group_name_Hall 'P 1'
loop_
_atom_site_label
_atom_site_fract_x
_atom_site_fract_y
_atom_site_fract_z
_atom_site_occupancy
Rb1 0.0000 0.0000 0.0000 1
Rb2 0.2392 0.2392 0.4800 1
Rb3 0.3611 0.3611 0.9838 1
Rb4 0.6389 0.6389 0.0162 1
Rb5 0.7608 0.7608 0.5200 1
U1 0.2523 0.7477 0.5000 1
U2 0.7477 0.2523 0.5000 1
F1 0.0682 0.0682 0.6443 1
F2 0.1058 0.6937 0.7271 1
F3 0.1586 0.5561 0.2990 1
F4 0.3063 0.8942 0.2729 1
F5 0.4439 0.8414 0.7010 1
F6 0.4709 0.4709 0.6725 1
F7 0.5291 0.5291 0.3275 1
F8 0.5561 0.1586 0.2990 1
F9 0.6937 0.1058 0.7271 1
F10 0.8414 0.4439 0.7010 1
F11 0.8942 0.3063 0.2729 1
F12 0.9318 0.9318 0.3557 1
```

Structure and calculated powder diffractogram of RbUF6 (a DFT-relaxed cell (PBE, Alexandria); a wavelength of 1.5418 Å).
No peak broadening, texture or thermal motion is included.

Principal peaks in the range 10° ≤ 2θ ≤ 90°, in order of rising 2θ:
2theta  I_rel
15.63  39
18.07  100
25.66  53
30.19  15
36.61  23
41.11  45
45.24  22
52.74  14
56.21  22
71.97  14

Cell and atoms:
```
data_RbUF6
_cell_length_a 6.9427
_cell_length_b 6.9427
_cell_length_c 6.9427
_cell_angle_alpha 60.00
_cell_angle_beta 60.00
_cell_angle_gamma 60.00
_symmetry_space_group_name_H-M 'P 1'
_symmetry_Int_Tables_number 1
_symmetry_space_group_name_Hall 'P 1'
loop_
_atom_site_label
_atom_site_fract_x
_atom_site_fract_y
_atom_site_fract_z
_atom_site_occupancy
Rb1 0.0000 0.0000 0.0000 1
U1 0.5000 0.5000 0.5000 1
F1 0.2871 0.2871 0.7129 1
F2 0.2871 0.7129 0.2871 1
F3 0.2871 0.7129 0.7129 1
F4 0.7129 0.2871 0.2871 1
F5 0.7129 0.2871 0.7129 1
F6 0.7129 0.7129 0.2871 1
```

Structure and calculated powder diffractogram of RbUF5 (a DFT-relaxed cell (PBE, Alexandria); a wavelength of 1.5418 Å).
No peak broadening, texture or thermal motion is included.

Principal peaks in the range 10° ≤ 2θ ≤ 90°, in order of rising 2θ:
2theta  I_rel
14.38  43
18.12  57
21.38  19
22.41  100
28.97  62
39.37  17
43.44  33
43.66  16
54.88  21
74.20  15

Cell and atoms:
```
data_RbUF5
_cell_length_a 6.7022
_cell_length_b 6.7022
_cell_length_c 6.7022
_cell_angle_alpha 139.94
_cell_angle_beta 107.57
-- stop --

(Solution)
Structure and calculated powder diffractogram of RbYTl2F6 (a DFT-relaxed cell (PBE, Alexandria); a wavelength of 1.5418 Å).
No peak broadening, texture or thermal motion is included.

Principal peaks in the range 10° ≤ 2θ ≤ 90°, in order of rising 2θ:
2theta  I_rel
18.63  41
25.56  48
26.30  100
26.67  97
27.27  53
37.72  43
37.89  25
46.27  23
47.39  28
48.05  25

Cell and atoms:
```
data_RbYTl2F6
_cell_length_a 6.5421
_cell_length_b 6.9696
_cell_length_c 11.4343
_cell_angle_alpha 90.00
_cell_angle_beta 123.83
_cell_angle_gamma 90.00
_symmetry_space_group_name_H-M 'P 1'
_symmetry_Int_Tables_number 1
_symmetry_space_group_name_Hall 'P 1'
loop_
_atom_site_label
_atom_site_fract_x
_atom_site_fract_y
_atom_site_fract_z
_atom_site_occupancy
Rb1 0.0000 0.0000 0.0000 1
Rb2 0.0000 0.5000 0.5000 1
Y1 0.5000 0.0000 0.5000 1
Y2 0.5000 0.5000 0.0000 1
Tl1 0.2304 0.0395 0.7404 1
Tl2 0.2304 0.4605 0.2404 1
Tl3 0.7696 0.5395 0.7596 1
Tl4 0.7696 0.9605 0.2596 1
F1 0.1747 0.1562 0.4615 1
F2 0.1747 0.3438 0.9615 1
F3 0.2731 0.7374 0.4250 1
F4 0.2731 0.7626 0.9250 1
F5 0.3978 0.0641 0.2843 1
F6 0.3978 0.4359 0.7843 1
F7 0.6022 0.5641 0.2157 1
F8 0.6022 0.9359 0.7157 1
F9 0.7269 0.2374 0.0750 1
F10 0.7269 0.2626 0.5750 1
F11 0.8253 0.6562 0.0385 1
F12 0.8253 0.8438 0.5385 1
```

Structure and calculated powder diffractogram of Rb5U2F12 (a DFT-relaxed cell (PBE, Alexandria); a wavelength of 1.5418 Å).
No peak broadening, texture or thermal motion is included.

Principal peaks in the range 10° ≤ 2θ ≤ 90°, in order of rising 2θ:
2theta  I_rel
12.73  79
12.97  90
24.82  53
24.95  56
26.11  45
26.84  32
27.12  100
29.06  57
30.67  33
45.39  39

Cell and atoms:
```
data_Rb5U2F12
_cell_length_a 8.1966
_cell_length_b 8.1966
_cell_length_c 6.9160
_cell_angle_alpha 97.92
_cell_angle_beta 97.92
_cell_angle_gamma 61.44
_symmetry_space_group_name_H-M 'P 1'
_symmetry_Int_Tables_number 1
_symmetry_space_group_name_Hall 'P 1'
loop_
_atom_site_label
_atom_site_fract_x
_atom_site_fract_y
_atom_site_fract_z
_atom_site_occupancy
Rb1 0.0000 0.0000 0.0000 1
Rb2 0.2392 0.2392 0.4800 1
Rb3 0.3611 0.3611 0.9838 1
Rb4 0.6389 0.6389 0.0162 1
Rb5 0.7608 0.7608 0.5200 1
U1 0.2523 0.7477 0.5000 1
U2 0.7477 0.2523 0.5000 1
F1 0.0682 0.0682 0.6443 1
F2 0.1058 0.6937 0.7271 1
F3 0.1586 0.5561 0.2990 1
F4 0.3063 0.8942 0.2729 1
F5 0.4439 0.8414 0.7010 1
F6 0.4709 0.4709 0.6725 1
F7 0.5291 0.5291 0.3275 1
F8 0.5561 0.1586 0.2990 1
F9 0.6937 0.1058 0.7271 1
F10 0.8414 0.4439 0.7010 1
F11 0.8942 0.3063 0.2729 1
F12 0.9318 0.9318 0.3557 1
```

Structure and calculated powder diffractogram of RbUF6 (a DFT-relaxed cell (PBE, Alexandria); a wavelength of 1.5418 Å).
No peak broadening, texture or thermal motion is included.

Principal peaks in the range 10° ≤ 2θ ≤ 90°, in order of rising 2θ:
2theta  I_rel
15.63  39
18.07  100
25.66  53
30.19  15
36.61  23
41.11  45
45.24  22
52.74  14
56.21  22
71.97  14

Cell and atoms:
```
data_RbUF6
_cell_length_a 6.9427
_cell_length_b 6.9427
_cell_length_c 6.9427
_cell_angle_alpha 60.00
_cell_angle_beta 60.00
_cell_angle_gamma 60.00
_symmetry_space_group_name_H-M 'P 1'
_symmetry_Int_Tables_number 1
_symmetry_space_group_name_Hall 'P 1'
loop_
_atom_site_label
_atom_site_fract_x
_atom_site_fract_y
_atom_site_fract_z
_atom_site_occupancy
Rb1 0.0000 0.0000 0.0000 1
U1 0.5000 0.5000 0.5000 1
F1 0.2871 0.2871 0.7129 1
F2 0.2871 0.7129 0.2871 1
F3 0.2871 0.7129 0.7129 1
F4 0.7129 0.2871 0.2871 1
F5 0.7129 0.2871 0.7129 1
F6 0.7129 0.7129 0.2871 1
```

Structure and calculated powder diffractogram of RbUF5 (a DFT-relaxed cell (PBE, Alexandria); a wavelength of 1.5418 Å).
No peak broadening, texture or thermal motion is included.

Principal peaks in the range 10° ≤ 2θ ≤ 90°, in order of rising 2θ:
2theta  I_rel
14.38  43
18.12  57
21.38  19
22.41  100
28.97  62
39.37  17
43.44  33
43.66  16
54.88  21
74.20  15

Cell and atoms:
```
data_RbUF5
_cell_length_a 6.7022
_cell_length_b 6.7022
_cell_length_c 6.7022
_cell_angle_alpha 139.94
_cell_angle_beta 107.57